_Entries_
- - -
i) This record from the Materials Project database describes a relaxed Li9Cr19O48 crystal. The functional is GGA+U.

Lattice parameters (Å, degrees): 5.0541 10.1830 17.2930 89.99 89.82 89.97
Sites, in units of the cell vectors:
O: 0.1445 0.1147 0.2958
O: 0.0982 0.8886 0.5337
O: 0.4057 0.0097 0.4237
O: 0.4132 0.1091 0.0338
O: 0.9413 0.6092 0.3748
O: 0.9132 0.6192 0.2089
Li: 0.7512 0.9197 0.4712
Li: 0.2487 0.4198 0.5287
O: 0.6022 0.6157 0.9650
Cr: 0.7513 0.5692 0.4759
O: 0.4308 0.8925 0.1262
Cr: 0.2485 0.0691 0.5238
O: 0.3307 0.7491 0.6560
O: 0.0730 0.6191 0.5332
Cr: 0.7286 0.5251 0.1555
O: 0.5835 0.9949 0.5774
O: 0.8552 0.8865 0.7012
O: 0.4553 0.6030 0.1324
Cr: 0.7799 0.0267 0.6535
Li: 0.2539 0.7538 0.1967
Cr: 0.2544 0.9296 0.0267
O: 0.5838 0.8875 0.9655
O: 0.4163 0.4948 0.4229
Cr: 0.2797 0.7486 0.5563
O: 0.0804 0.5026 0.9239
O: 0.0462 0.3920 0.6315
O: 0.9230 0.2500 0.9912
Cr: 0.7989 0.7517 0.9419
O: 0.5911 0.3801 0.7102
O: 0.1378 0.2506 0.1557
O: 0.9192 0.0111 0.0711
O: 0.9088 0.4870 0.0744
O: 0.4120 0.8818 0.2898
Cr: 0.2731 0.4729 0.8464
O: 0.1450 0.3871 0.2989
Cr: 0.7418 0.4310 0.9751
O: 0.4204 0.3791 0.0313
O: 0.6051 0.1212 0.7097
Li: 0.5969 0.7499 0.7514
O: 0.9549 0.8917 0.3685
O: 0.0798 0.9933 0.9269
O: 0.9270 0.1190 0.4666
Cr: 0.7784 0.4738 0.6561
O: 0.8592 0.7507 0.8440
O: 0.4462 0.2397 0.5059
Cr: 0.7213 0.9742 0.1559
O: 0.1016 0.3759 0.7919
Cr: 0.2200 0.5271 0.3467
Li: 0.7567 0.7529 0.3002
Cr: 0.2780 0.0276 0.8444
Li: 0.4018 0.2502 0.2484
O: 0.8547 0.6142 0.7045
Cr: 0.2217 0.9740 0.3439
O: 0.3943 0.6230 0.2915
O: 0.9079 0.8704 0.2044
O: 0.6638 0.3841 0.2049
Cr: 0.7469 0.0724 0.9736
Cr: 0.7201 0.2489 0.4439
O: 0.0937 0.1271 0.7908
O: 0.6688 0.2499 0.3445
Li: 0.2540 0.5791 0.0296
O: 0.3302 0.6149 0.7980
Cr: 0.0961 0.7512 0.7478
O: 0.9017 0.3887 0.4664
O: 0.6647 0.1200 0.2031
O: 0.0565 0.7579 0.0074
Li: 0.2456 0.2487 0.6985
Cr: 0.9027 0.2489 0.2526
O: 0.5598 0.1112 0.8736
O: 0.3337 0.8827 0.7955
Cr: 0.2064 0.2522 0.0584
O: 0.5535 0.7398 0.4943
Li: 0.7460 0.2472 0.8017
O: 0.0571 0.1090 0.6249
O: 0.5943 0.5094 0.5763
O: 0.5584 0.3958 0.8732

symmetry = P1
M_tot = 27.00 Bohr magnetons per cell

---

ii) This record from the Materials Project database describes a relaxed Li9Cr19O48 crystal. The functional is GGA+U.

Lattice parameters (Å, degrees): 5.0542 10.1881 17.2668 90.39 90.38 90.02
Sites, in units of the cell vectors:
Cr: 0.4056 0.2506 0.2472
O: 0.3493 0.6167 0.7961
O: 0.8266 0.8839 0.7057
Cr: 0.2236 0.2514 0.0564
O: 0.0921 0.9905 0.9237
O: 0.8940 0.8781 0.2099
O: 0.6467 0.1136 0.2023
O: 0.9452 0.8940 0.3731
Cr: 0.7223 0.5255 0.1561
Li: 0.2513 0.7472 0.1954
O: 0.1712 0.3853 0.2984
O: 0.0891 0.8838 0.5323
O: 0.9099 0.6199 0.2111
Cr: 0.7582 0.9268 0.4781
O: 0.5726 0.8804 0.9668
O: 0.9485 0.2594 0.9953
O: 0.4431 0.8911 0.1251
O: 0.9052 0.4905 0.0773
O: 0.3479 0.7505 0.6541
O: 0.5958 0.9901 0.5726
Cr: 0.2284 0.9710 0.3454
O: 0.5443 0.1060 0.8696
O: 0.4563 0.2502 0.4975
O: 0.6462 0.3850 0.2055
Cr: 0.7180 0.2497 0.4417
O: 0.5668 0.3757 0.7090
O: 0.4218 0.9977 0.4230
Cr: 0.7577 0.5732 0.4782
O: 0.8313 0.6177 0.7051
Li: 0.2504 0.5792 0.0258
Cr: 0.7511 0.4303 0.9731
O: 0.0544 0.1184 0.6332
Li: 0.2508 0.4249 0.5312
O: 0.0753 0.5014 0.9219
O: 0.0537 0.7602 0.0059
Cr: 0.7791 0.7502 0.9437
Cr: 0.7775 0.4725 0.6566
Li: 0.0913 0.7496 0.7506
O: 0.0881 0.1195 0.7890
O: 0.5974 0.6106 0.9657
Cr: 0.2771 0.0254 0.8442
Cr: 0.2858 0.4732 0.8448
O: 0.9170 0.0045 0.0780
Li: 0.2509 0.0755 0.5322
O: 0.5750 0.7500 0.4914
Cr: 0.7210 0.9732 0.1535
O: 0.9014 0.1162 0.4628
Li: 0.7612 0.7481 0.3009
O: 0.0541 0.3822 0.6303
O: 0.5950 0.5109 0.5727
Cr: 0.2519 0.9303 0.0232
O: 0.1093 0.3685 0.7826
Cr: 0.2544 0.2577 0.6977
O: 0.4028 0.1107 0.0343
O: 0.5615 0.1296 0.7075
O: 0.5603 0.3834 0.8767
Cr: 0.7764 0.0290 0.6575
O: 0.1710 0.1141 0.2982
O: 0.4005 0.6257 0.2915
O: 0.4551 0.6074 0.1312
Cr: 0.2890 0.7506 0.5575
O: 0.4212 0.5019 0.4234
O: 0.4272 0.3805 0.0340
O: 0.9012 0.3838 0.4626
O: 0.3979 0.8746 0.2893
Cr: 0.5922 0.7487 0.7522
- - -

_Work order_
Return the block further up character by character.

_Outcome_
i) This record from the Materials Project database describes a relaxed Li9Cr19O48 crystal. The functional is GGA+U.

Lattice parameters (Å, degrees): 5.0541 10.1830 17.2930 89.99 89.82 89.97
Sites, in units of the cell vectors:
O: 0.1445 0.1147 0.2958
O: 0.0982 0.8886 0.5337
O: 0.4057 0.0097 0.4237
O: 0.4132 0.1091 0.0338
O: 0.9413 0.6092 0.3748
O: 0.9132 0.6192 0.2089
Li: 0.7512 0.9197 0.4712
Li: 0.2487 0.4198 0.5287
O: 0.6022 0.6157 0.9650
Cr: 0.7513 0.5692 0.4759
O: 0.4308 0.8925 0.1262
Cr: 0.2485 0.0691 0.5238
O: 0.3307 0.7491 0.6560
O: 0.0730 0.6191 0.5332
Cr: 0.7286 0.5251 0.1555
O: 0.5835 0.9949 0.5774
O: 0.8552 0.8865 0.7012
O: 0.4553 0.6030 0.1324
Cr: 0.7799 0.0267 0.6535
Li: 0.2539 0.7538 0.1967
Cr: 0.2544 0.9296 0.0267
O: 0.5838 0.8875 0.9655
O: 0.4163 0.4948 0.4229
Cr: 0.2797 0.7486 0.5563
O: 0.0804 0.5026 0.9239
O: 0.0462 0.3920 0.6315
O: 0.9230 0.2500 0.9912
Cr: 0.7989 0.7517 0.9419
O: 0.5911 0.3801 0.7102
O: 0.1378 0.2506 0.1557
O: 0.9192 0.0111 0.0711
O: 0.9088 0.4870 0.0744
O: 0.4120 0.8818 0.2898
Cr: 0.2731 0.4729 0.8464
O: 0.1450 0.3871 0.2989
Cr: 0.7418 0.4310 0.9751
O: 0.4204 0.3791 0.0313
O: 0.6051 0.1212 0.7097
Li: 0.5969 0.7499 0.7514
O: 0.9549 0.8917 0.3685
O: 0.0798 0.9933 0.9269
O: 0.9270 0.1190 0.4666
Cr: 0.7784 0.4738 0.6561
O: 0.8592 0.7507 0.8440
O: 0.4462 0.2397 0.5059
Cr: 0.7213 0.9742 0.1559
O: 0.1016 0.3759 0.7919
Cr: 0.2200 0.5271 0.3467
Li: 0.7567 0.7529 0.3002
Cr: 0.2780 0.0276 0.8444
Li: 0.4018 0.2502 0.2484
O: 0.8547 0.6142 0.7045
Cr: 0.2217 0.9740 0.3439
O: 0.3943 0.6230 0.2915
O: 0.9079 0.8704 0.2044
O: 0.6638 0.3841 0.2049
Cr: 0.7469 0.0724 0.9736
Cr: 0.7201 0.2489 0.4439
O: 0.0937 0.1271 0.7908
O: 0.6688 0.2499 0.3445
Li: 0.2540 0.5791 0.0296
O: 0.3302 0.6149 0.7980
Cr: 0.0961 0.7512 0.7478
O: 0.9017 0.3887 0.4664
O: 0.6647 0.1200 0.2031
O: 0.0565 0.7579 0.0074
Li: 0.2456 0.2487 0.6985
Cr: 0.9027 0.2489 0.2526
O: 0.5598 0.1112 0.8736
O: 0.3337 0.8827 0.7955
Cr: 0.2064 0.2522 0.0584
O: 0.5535 0.7398 0.4943
Li: 0.7460 0.2472 0.8017
O: 0.0571 0.1090 0.6249
O: 0.5943 0.5094 0.5763
O: 0.5584 0.3958 0.8732

symmetry = P1
M_tot = 27.00 Bohr magnetons per cell

---

ii) This record from the Materials Project database describes a relaxed Li9Cr19O48 crystal. The functional is GGA+U.

Lattice parameters (Å, degrees): 5.0542 10.1881 17.2668 90.39 90.38 90.02
Sites, in units of the cell vectors:
Cr: 0.4056 0.2506 0.2472
O: 0.3493 0.6167 0.7961
O: 0.8266 0.8839 0.7057
Cr: 0.2236 0.2514 0.0564
O: 0.0921 0.9905 0.9237
O: 0.8940 0.8781 0.2099
O: 0.6467 0.1136 0.2023
O: 0.9452 0.8940 0.3731
Cr: 0.7223 0.5255 0.1561
Li: 0.2513 0.7472 0.1954
O: 0.1712 0.3853 0.2984
O: 0.0891 0.8838 0.5323
O: 0.9099 0.6199 0.2111
Cr: 0.7582 0.9268 0.4781
O: 0.5726 0.8804 0.9668
O: 0.9485 0.2594 0.9953
O: 0.4431 0.8911 0.1251
O: 0.9052 0.4905 0.0773
O: 0.3479 0.7505 0.6541
O: 0.5958 0.9901 0.5726
Cr: 0.2284 0.9710 0.3454
O: 0.5443 0.1060 0.8696
O: 0.4563 0.2502 0.4975
O: 0.6462 0.3850 0.2055
Cr: 0.7180 0.2497 0.4417
O: 0.5668 0.3757 0.7090
O: 0.4218 0.9977 0.4230
Cr: 0.7577 0.5732 0.4782
O: 0.8313 0.6177 0.7051
Li: 0.2504 0.5792 0.0258
Cr: 0.7511 0.4303 0.9731
O: 0.0544 0.1184 0.6332
Li: 0.2508 0.4249 0.5312
O: 0.0753 0.5014 0.9219
O: 0.0537 0.7602 0.0059
Cr: 0.7791 0.7502 0.9437
Cr: 0.7775 0.4725 0.6566
Li: 0.0913 0.7496 0.7506
O: 0.0881 0.1195 0.7890
O: 0.5974 0.6106 0.9657
Cr: 0.2771 0.0254 0.8442
Cr: 0.2858 0.4732 0.8448
O: 0.9170 0.0045 0.0780
Li: 0.2509 0.0755 0.5322
O: 0.5750 0.7500 0.4914
Cr: 0.7210 0.9732 0.1535
O: 0.9014 0.1162 0.4628
Li: 0.7612 0.7481 0.3009
O: 0.0541 0.3822 0.6303
O: 0.5950 0.5109 0.5727
Cr: 0.2519 0.9303 0.0232
O: 0.1093 0.3685 0.7826
Cr: 0.2544 0.2577 0.6977
O: 0.4028 0.1107 0.0343
O: 0.5615 0.1296 0.7075
O: 0.5603 0.3834 0.8767
Cr: 0.7764 0.0290 0.6575
O: 0.1710 0.1141 0.2982
O: 0.4005 0.6257 0.2915
O: 0.4551 0.6074 0.1312
Cr: 0.2890 0.7506 0.5575
O: 0.4212 0.5019 0.4234
O: 0.4272 0.3805 0.0340
O: 0.9012 0.3838 0.4626
O: 0.3979 0.8746 0.2893
Cr: 0.5922 0.7487 0.7522